## Wanted
Restate the part of the rows further below that starts with the line with "-6.4456" and stops after the one with "1.6726 3.4604".
## Entries
********
1.
# C25H16CeN4O4

A molecular structure, C25H16CeN4O4 (wB97M-V/def2-TZVPD, the Open Molecules 2025 dataset).

Atoms and positions in Å:
Ce 0.4082 0.3379 -0.6147
O -1.5893 0.7019 0.1020
O 3.3611 -1.3228 -2.6152
O -3.4508 -0.4956 -0.5181
O 2.4478 0.1984 -1.1519
N -0.0364 0.7443 1.3089
N 0.9491 -1.7710 -0.2316
N -0.0537 2.3746 -1.3394
N -0.1036 -1.0923 -1.7079
C 0.6462 -2.8275 3.3270
C 1.5710 -4.0612 -0.0184
C 0.8716 -2.7904 1.9423
C 0.9518 -1.5680 -2.3242
C 1.3168 -3.9829 1.3410
C -0.8509 4.9791 -1.0539
C 2.3530 -0.8265 -1.9913
C -1.1846 4.7417 1.3043
C -2.1876 -0.2658 -0.5857
C 0.6667 -1.6177 1.1669
C -0.4012 2.7972 -0.0128
C -0.1096 3.1969 -2.3975
C 0.1849 -0.4109 1.9588
C -1.8032 -2.3116 -2.3796
C 1.3720 -2.9287 -0.7606
C -0.5010 4.5053 -2.3076
C -0.4070 2.0361 1.3049
C -0.7962 2.6909 2.4844
C 0.2076 -1.7123 4.0203
C -0.0187 -0.5239 3.3434
C -1.3995 -1.2736 -1.5928
C -1.1797 4.0230 2.4878
C 0.6036 -2.6123 -3.1277
C -0.7895 -2.9864 -3.1541
C -0.8083 4.1547 0.0865
H 2.2104 1.0393 0.3790
H 0.0390 -1.7605 5.0907
H 1.5471 -2.9040 -1.8298
H -0.8073 2.1688 3.4298
H 1.3498 -3.1292 -3.7148
H -0.3603 0.3206 3.9237
H -1.0902 -3.8161 -3.7876
H -2.8431 -2.6061 -2.4122
H -1.4739 4.4943 3.4193
H 0.8138 -3.7429 3.8879
H 1.4700 -4.8739 1.9445
H 1.9130 -4.9784 -0.4784
H -1.4905 5.7836 1.3422
H -1.1641 6.0163 -0.9657
H 0.1802 2.7471 -3.3399
H -0.5345 5.1403 -3.1824

The total charge is -1. As for the multiplicity: 2. The expectation value of S² is 0.797. The HOMO-LUMO gap (alpha / beta) is 0.161 / 0.176 hartree. The HOMO energy (alpha / beta) comes out at -2.4 / -2.8 eV.



2.
# C25H16ClN5O6SV

A molecular structure, C25H16ClN5O6SV (wB97M-V/def2-TZVPD, the Open Molecules 2025 dataset).

Atoms and positions in Å:
V -0.6194 0.3125 0.3339
Cl 3.7840 4.1508 1.1803
S -5.9828 2.4371 -4.2287
O 2.8338 -1.0745 -1.3781
O 5.6454 2.2489 -0.2576
O 0.8569 -0.1887 4.1948
O -2.3166 -0.8638 1.0637
O 5.0469 0.3020 -1.1264
O 0.7071 -0.8159 -0.7399
N 1.6095 2.6768 0.8205
N 1.1649 1.5189 0.3022
N -1.6940 0.9629 -1.4679
N -0.5230 -0.4419 2.3487
N -4.3541 0.9611 -5.6814
C -3.5967 1.3371 -3.4544
C -2.2944 2.1472 -1.6292
C 4.7919 1.4322 -0.4944
C 0.3593 4.7521 1.0404
C -2.0231 -0.0345 -2.2961
C 0.6985 3.5056 1.5397
C -1.2553 -2.0510 5.5807
C -3.2436 2.3775 -2.6038
C -1.1264 5.0382 2.9088
C -0.1206 -0.6527 3.6643
C -3.3873 -3.0245 4.9427
C -2.1731 -1.7370 3.3769
C 2.9410 2.7974 0.6079
C 3.3773 1.6740 -0.0732
C -2.3839 -2.8127 5.8839
C -0.5591 5.5222 1.7398
C -2.9750 0.1054 -3.2893
C -1.1734 -1.5243 4.3119
C 2.2110 0.8980 -0.2226
C -1.7257 -1.0139 2.1615
C 0.1504 3.0100 2.7139
C 1.9225 -0.4503 -0.8401
C -0.7740 3.7854 3.3945
C -3.2967 -2.4817 3.6618
C -4.6361 1.5481 -4.5071
H -4.2498 -3.6196 5.2113
H -3.7220 3.3409 -2.6996
H -0.4723 -1.8789 6.3069
H -1.9987 2.9330 -0.9429
H -1.8431 5.6433 3.4480
H -3.4430 0.5808 -5.8757
H 0.8110 5.1083 0.1253
H -4.0718 -2.6387 2.9240
H 4.2310 -0.2671 -1.2514
H 0.4601 2.0362 3.0792
H -3.2384 -0.7494 -3.8975
H -4.9953 1.0954 -6.4456
H -1.2092 3.4180 4.3143
H -2.4842 -3.2484 6.8693
H -1.5098 -0.9751 -2.1367
H -0.8339 6.5005 1.3693

As for the multiplicity: 4. The expectation value of S² is 3.757. The HOMO-LUMO gap (alpha / beta) is 0.260 / 0.301 hartree. The HOMO energy (alpha / beta) comes out at -8.0 / -9.2 eV.



3.
# C25H16N2O5S2

C25H16N2O5S2 in the gas phase (wB97M-V/def2-TZVPD, the Open Molecules 2025 dataset).

Atoms and positions in Å:
S 0.5949 5.1037 -0.9420
S -2.3957 0.8548 -3.2038
O -0.4429 3.5160 -3.7641
O 1.6726 3.4604 4.3466
O 0.5874 5.3526 -4.6114
O -0.7546 -0.8271 1.3321
O 3.3723 2.8139 6.1711
N -0.6805 2.2453 -1.4245
N -0.0179 1.2362 0.7206
C -1.2351 -3.4313 -1.7951
C -0.7435 0.0763 0.4725
C 1.4545 2.4707 2.2345
C 0.4965 4.4848 -3.7263
C 4.8534 -0.2875 3.8074
C 0.6312 3.5911 0.1251
C 3.8530 1.8535 5.2624
C -1.4107 1.0969 -1.7002
C 1.4453 4.4714 -2.4647
C 3.7189 0.5581 3.2784
C -1.3220 -4.8167 -1.5997
C 4.8775 1.0485 5.7705
C 5.4821 0.0614 5.0197
C 2.1078 2.6046 3.5385
C -2.5461 -5.2971 -1.0337
C 1.2970 3.6848 1.3989
********
## Response
H -4.9953 1.0954 -6.4456
H -1.2092 3.4180 4.3143
H -2.4842 -3.2484 6.8693
H -1.5098 -0.9751 -2.1367
H -0.8339 6.5005 1.3693

As for the multiplicity: 4. The expectation value of S² is 3.757. The HOMO-LUMO gap (alpha / beta) is 0.260 / 0.301 hartree. The HOMO energy (alpha / beta) comes out at -8.0 / -9.2 eV.



3.
# C25H16N2O5S2

C25H16N2O5S2 in the gas phase (wB97M-V/def2-TZVPD, the Open Molecules 2025 dataset).

Atoms and positions in Å:
S 0.5949 5.1037 -0.9420
S -2.3957 0.8548 -3.2038
O -0.4429 3.5160 -3.7641
O 1.6726 3.4604 4.3466